Questions elicit data and seek answers as per the goals and curiosity of an Asker. To help folks find their own answers without biases, I’ve developed a new form of question.
Let me start at the beginning. As I’ve been saying, I’ve been seeking ways to permanently change behaviors and have recognized that behaviors are merely outputs from a series of brain messages that begin with some sort of input command. Obviously, to change a behavior means you’ve got to start with changing neural pathways. Hence the foundational question: how is it possible to generate new brain circuitry for new behaviors and habits?
Why not just try to change behaviors, you ask? Why do we need to change the brain?
Think about it for a moment. By the time we exhibit a behavior, there’s already a neural pathway that has initiated it. That means we must find a way into our brains and help them generate a new set of commands at the beginning, from the input, that culminate with a new behavior – the output.
Early on I recognized it wasn’t possible to change a behavior by trying to change a behavior and that permanent change had to come from new neural circuitry in our brains. In other words, it’s not possible to change an output (behaviors) without first changing the input (new commands). But how to get into the brain to help it change? This is the question scientists have posed for years.
I solved the problem but it took ten years of thinking. I figured out that the only way in is through questions, but not the normal kind. Questions that elicit the right data extraction from what’s already stored and position the new data in a way that causes new activity.
By pulling the right criteria in the right order from where they’re stored in our unconscious, it’s possible for anyone to generate behavior change and new habit formation. Instead of leaders and coaches posing biased questions according to their assumptions of where answers lie, why not enable people to find their own answers. But what was the way in?
I thought that maybe questions could find where our unconscious data is stored, but I realized that conventional questions are biased and quite restrictive: they pull information from Responders according to the needs, goals, and languaging of the Asker. Obviously this won’t reach the unconscious data, doesn’t encourage change, or provide a way in to the unconscious, the starting point for any proposed change.
I’d already figured out that during decision making people seek data from their memory channels in a specific sequence. I suspected a question could do that, but not a conventional question.
I then spent 10 years playing with words, brain sequencing criteria, intent and time. Eventually I found a way to extract the right data from the right memory channel, and a way to pinpoint the criteria needed for a human system to be open to change.
I finally developed a new form of question I call a Facilitative Question that addresses the systemic nature of change – the stages of criteria based decision making – and pulls data from the person’s unique memory channels rather than information or the curiosity of the Asker.
Attached: data records.
- - -
# 1
{"formula": "ScMnNbFe", "functional": "PBE", "state": "relaxed", "vol_a3_per_cell": 59, "final_energy_ev_per_fu": -34.3, "lattice_angstrom": [[4.362, 0.000, 0.000], [2.181, 3.777, 0.000], [2.181, 1.259, 3.561]], "species": ["Fe", "Nb", "Sc", "Mn"], "frac_coords": [[0.750, 0.750, 0.750], [0.500, 0.500, 0.500], [0.000, 0.000, 0.000], [0.250, 0.250, 0.250]]}

=====

# 2
{"formula": "MnNb2FeSe", "functional": "PBE", "state": "relaxed", "vol_a3_per_cell": 90, "formation_energy_uncorrected_ev_per_atom": 1.061, "lattice_angstrom": [[4.621, 0.000, 0.000], [0.000, 4.208, 0.000], [0.000, 0.000, 4.621]], "species": ["Mn", "Nb", "Nb", "Se", "Fe"], "frac_coords": [[0.500, 0.500, 0.500], [0.000, 0.000, 0.500], [0.500, 0.000, 0.000], [0.000, 0.500, 0.000], [0.000, 0.000, 0.000]]}

=====

# 3
{"formula": "MnNb2FeSi", "functional": "PBE", "state": "relaxed", "vol_a3_per_cell": 89, "formation_energy_uncorrected_ev_per_atom": 0.718, "lattice_angstrom": [[-2.597, 3.275, 1.702], [-3.461, -1.633, -2.137], [-0.963, -2.610, 3.553]], "species": ["Nb", "Nb", "Mn", "Fe", "Si"], "frac_coords": [[0.500, 0.000, 0.000], [0.000, 0.000, 0.500], [0.000, 0.500, 0.000], [0.000, 0.000, 0.000], [0.500, 0.500, 0.500]]}

=====

# 4
{"formula": "TaMnNbFe", "functional": "PBE", "state": "relaxed", "vol_a3_per_cell": 58, "final_energy_ev_per_fu": -40.0, "lattice_angstrom": [[-1.209, -2.044, 3.628], [-1.537, -4.050, -0.202], [2.369, -3.297, 1.524]], "species": ["Nb", "Mn", "Ta", "Fe"], "frac_coords": [[0.500, 0.500, 0.500], [0.750, 0.750, 0.750], [0.000, 0.000, 0.000], [0.250, 0.250, 0.250]]}

=====

# 5
{"formula": "TiMnNbFe", "functional": "PBE", "state": "relaxed", "vol_a3_per_cell": 55, "e_above_lowest_polymorph_mev_per_atom": 0.0, "lattice_angstrom": [[-1.978, 3.034, 2.249], [-4.194, -0.270, 0.716], [-1.442, -0.851, 3.920]], "species": ["Fe", "Nb", "Ti", "Mn"], "frac_coords": [[0.750, 0.750, 0.750], [0.000, 0.000, 0.000], [0.500, 0.500, 0.500], [0.250, 0.250, 0.250]]}

=====

# 6
{"formula": "TiMnNbFe", "functional": "PBE", "state": "relaxed", "vol_a3_per_cell": 55, "e_above_lowest_polymorph_mev_per_atom": 4.1, "lattice_angstrom": [[3.020, 0.000, 0.000], [0.000, 3.020, 0.000], [0.000, 0.000, 6.014]], "species": ["Nb", "Mn", "Fe", "Ti"], "frac_coords": [[0.000, 0.000, 0.354], [0.500, 0.500, 0.103], [0.500, 0.500, 0.612], [0.000, 0.000, 0.859]]}
- - -
It’s quite important to note that my initial goal has changed from curiosity (always biased) to leading brain change so folks can get into their own unconscious to remain congruent with their own beliefs and norms. This includes the specific steps all brains use to change. (See 13 Steps of Change).
Facilitative Questions facilitate discovery criteria storage and what beliefs and norms and outcomes must be involved.
Here is a simple example:
A conventional question elicits data per the needs and curiosity of the Asker and puts the Responder on the defensive:
Why do you wear your hair like that?
A Facilitative Question teaches the Responder to seek those specific beliefs they’d need to address, the historic data set they’d need to consider, and time so there is some comparator to contract the new vs the old. It also causes the Responder to go ‘meta’ to examine the problem from an unbiased vantage point:
How would you know if it were time to reconisider your hairstyle?
It takes a few days to learn to formulate these questions, but it’s worth it. I’ve taught them to
- coaches to facilitate clients through to their own discovery,
- sellers to facilitate prospects through their buying journey,
- leaders to help clients design their own route through to their own change,
- healthcare providers to teach patients how to change their behaviors permanently to resolve health issues.
The applications section has learning tools. Go here.
As always, contact me with questions: